The Hoxne Angel - Harriet Pentney

The Hoxne Angel
Harriet Pentney - the Angel of Hoxne

Harriet Pentney was our own local heroine - the Hoxne Angel. She devoted her time to caring for those in need through assistance during illness and distribution of puddings, porter, wine and beef tea under the guidance of the Kerrisons of Oakley Park and the clergy.

A member of the Hoxne Heritage group recently acquired 2 log books kept by Harriet, indeed the photograph of her shows her holding one of these. Very quickly it has become clear that this lady is an unsung heroine, "an angel" as coined by a member of our group.

Harriet's accounts predate our NHS. It was a Dickensian time when help for the poor was given charitably at Parish level. She would have been the sick nurse for most of us if we lived here at that time. Harriet often referred to regular trips to a dispensary in Eye by pony and trap and then taking medicine to patients within our Parishes.

Who was Harriet Pentney?

She was our Parish sick nurse, born Harriet Cobb, in 1831 at Ixworth, Thetford. She married her first husband, John Pentney in 1852 whilst living at Great Barton. In the 1881 census she was living in Low Street Hoxne. She married a second time in 1882 to William Hines and was living with him at Heckfield Green as recorded in the 1891 census. Harriet had 4 children, Maria, Harriet, Agnes and Harry.

She was nursing at Oakley Park from at least 1869 until 1882. Her orders were received from Mrs Paget, the Vicar's wife as well as direct orders from Sir Edward and Lady Caroline Kerrison. Harriet would have had no formal training.

Harriet herself was a rather sickly lady - at least one bad cold a month and frequent neuralgia. On one occasion she had to see the doctor who confined her to bed with a bad head and kidneys out of order for 6 days. Despite this, she always sent her daughter Agnes to check her patients if she was poorly.

We think she was still working when she died aged 61 because in the 1891 census she was mentioned as a nurse and midwife. When she died on the 23rd July 1892 she was buried in Hoxne graveyard - as yet, we don't know where her grave is - if anyone can help to throw light on this we would be most happy to receive it!

Her log books

**Next to the text, the page also holds data records**
# 1
SrZnAsO (PBE, relaxed); raw total energy = -4.2806 eV/atom; SG = Pmc2_1, No. 26
1.0
3.365 0.000 0.000
0.000 6.152 0.000
0.000 0.000 7.721
Sr Zn As O
2 2 2 2
Direct
0.000 0.133 0.000 Sr
0.000 0.867 0.500 Sr
0.500 0.331 0.361 Zn
0.500 0.669 0.861 Zn
0.500 0.334 0.683 As
0.500 0.666 0.183 As
0.000 0.167 0.307 O
0.000 0.833 0.807 O



# 2
TaNbGa2Pt2 (PBE, relaxed); raw total energy = -7.2821 eV/atom; SG = Pm, No. 6; magnetic moment = 0.00 Bohr magnetons per cell
1.0
8.570 0.000 0.000
0.000 4.285 0.000
-4.285 0.000 12.120
Ta Nb Ga Pt
4 4 8 8
Direct
0.000 0.000 0.000 Ta
0.125 0.500 0.750 Ta
0.250 0.000 0.500 Ta
0.500 0.000 0.000 Ta
0.375 0.500 0.250 Nb
0.625 0.500 0.750 Nb
0.750 0.000 0.500 Nb
0.875 0.500 0.250 Nb
0.000 0.500 0.500 Ga
0.125 0.000 0.250 Ga
0.250 0.500 0.000 Ga
0.375 0.000 0.750 Ga
0.500 0.500 0.500 Ga
0.625 0.000 0.250 Ga
0.750 0.500 0.000 Ga
0.875 0.000 0.750 Ga
0.062 0.500 0.124 Pt
0.188 0.000 0.875 Pt
0.312 0.500 0.625 Pt
0.437 0.000 0.375 Pt
0.562 0.500 0.124 Pt
0.688 0.000 0.876 Pt
0.813 0.500 0.625 Pt
0.939 0.000 0.375 Pt



# 3
DyZnTe (PBE, relaxed); SG = F-43m, No. 216; energy relative to the lowest polymorph listed for this composition = 0 meV per atom; magnetic moment = 0.06 Bohr magnetons per cell
1.0
0.000 3.543 3.543
3.543 0.000 3.543
3.543 3.543 0.000
Dy Zn Te
1 1 1
Direct
0.000 0.000 0.000 Dy
0.250 0.250 0.250 Zn
0.750 0.750 0.750 Te



# 4
Be2TcBi (PBE, relaxed); raw total energy = -4.5913 eV/atom; SG = F-43m, No. 216; magnetic moment = 0.00 Bohr magnetons per cell
1.0
0.000 3.128 3.128
3.128 0.000 3.128
3.128 3.128 0.000
Be Tc Bi
2 1 1

Harriet refers to these records as "log books". In truth, she expresses her feelings clearly and these records are more a journal or diary than a log book. These are a meticulous and highly touching insight into our parishes in the last quarter of the 19th century. Many places which we know are mentioned, local families who have lived in this area for generations are recorded, many of the houses we live in today were visited. Under the floor boards of the house in which I now live in Low Street we found some medicine bottles for a "Mr Shulver" the labels written in the same handwriting as Harriet's log book. We managed to find the records of her earlier visits to his wife, who sadly died. Frustratingly, a third and final log book is missing but rumoured to be somewhere within the Parish, this would have recorded the visit to Mr Shulver and the dispensing of his medicine. It would probably mention her second marriage of which we know no more details. Did she die in post? We just don't know. Does anyone have information on this? Has anyone any other sources relating to Harriet or her tending to your families - we would love to hear from you!

Ground rules

Harriet records in December 13th 1872 the orders for the nurse, some include:

Health in the Parishes of Hoxne, Denham, Brome or Oakley in the last quarter of the 19th century

In her log books two doctors from Eye are mentioned, they were called in the most serious cases or when operations needed to be performed, Harriet assisted examples of operations including tumours, ruptures and tooth extractions. Chloroform was used as an anaesthetic.

In 1872, when her "ground rules" were established the average life expectancy was 44.27 years for females and 41.17 years for males.

She recorded frequent deaths in our villages, many who were under 30 years of age. There were no antibiotics or vaccinations in those days. Consumption (TB) was rife, measles and diphtheria common and caused deaths in children. Scarlet fever, typhoid fever, influenza, cancer, polio and heart disease are all mentioned and encountered by her amongst many other ailments. Pregnancy in those days was very hazardous.

She had her work cut out for her! She carried it out relentlessly and selflessly.

Treatments mentioned by her

These included: application of leeches for swollen joints, arrowroot and cornflower for diarrhoea, cod liver oil but mostly they were porter, brandy, gin and portwine! - even for children as it would dull the senses and relieve pain temporarily.

The Hoxne angel at work

Among the thousands of entries here are just a few of her good works, acts of mercy and charity:

Harriet's character

Harriet's character shines through her entries:

One lady who lost her only son - she followed her up for two and a half months.
She took fruit and flowers to Alice Saunders and Mrs Bootman - both were "brightened at the sight of them".
One old lady she described as "A dear old soul, anxious to see me as often as I can". She stayed as often as she could until she died 2 weeks later.
She took patients out for rides in her trap to get fresh air.
One lady with TB died - she made a wreath and cross of flowers for her coffin. She often attended funerals.

There are several references of Harriet having a dilemma about balancing her own need to rest, or the needs of her family and ignoring those with only small ailments or hypochondriacs.

Extracts from her log books reveal the self-sacrifices she made to minister to the poor and suffering of our parishes:

"20th December 1880 - Sad news from my mother - she is in a very bad state but I could not very well go to see her in Bury St Edmunds, but was very anxious."

"12th Janury 1881 - Several patients in a dying state so had to stay with them overnight. Very anxious about my dear mother."

"14th January 1881 - Had a letter to say Mother was dead and wanted to go to her. Mr Cracknell was very ill so had to get another woman in. He did not care for her so I had to stay." Then she was collected to see another man who was ill, so she stayed until it was all over.

"16th January 1881 - Went to Bury St Edmunds and buried dear mother."

"19th January 1881 - Back to work - I didn't feel at all well."

"21st January 1881 - Mr Cracknell's funeral."

"23rd January 1881 - Mrs Laws dying so stayed until she was gone, then did for her. It seemed hard to witness after losing my own mother."

"25th January 1881 - Got some linsey for the (Laws) children so was very busy sewing for them to get them ready (for the funeral). I worked hard to do it being 5 girls and 2 little boys."

There are similar pattern of events surrounding the serious illness of her son - she found it difficult balancing her community work and that of her family.

Harriet's faith

What is clear from her log book is that she had a strong belief in God, a Christian conviction of kindness, charity, mercy, sympathy and compassion. She eased people out of this life as they embarked on the journey to the next.

She wrote about one dying patient.

"It will be a happy release when it pleases God to call him."

Talk given by Richard Giffin at St Peter and St Paul Church in Hoxne on the 15th February 2015.
Picture and information provide by Margaret Sillis.

Harriet and Agnes
Glass plate photo of Harriet Pentney, her daughter Agnes and a granddaughter

Harriet Pentney
Harriet Pentney at a Hoxne Graveside

In 1877 Harriet gave her daughter, Harriet, a Birthday Book in which to record birthdays and other events.

Birthday Book
Harriet Pentney junior's Birthday Book

She recorded the birthdays of her sisters, Maria Louisa on the 3rd January and Agnes Mary on the 4th February. She also recorded her mother's death in 1892.

Birthday Book
The Death of Harriet Pentney recorded in her daughter's Birthday Book

Additional pictures and information provide by Stephen Govier.